HL Deb 26 July 1968 vol 295 cc1396-7

Crystal structures that have nothing to do with the text.
********
This record from the Materials Project describes an optimized crystal structure of Li2BiB5O10. The functional is PBE.

Energy with MP2020 corrections, eV per formula unit: -137.6
V, Å³/atom: 12.0
SG: P2_1/c

Unit cell a=7.261 b=16.420 c=7.259 alpha=90.00 beta=92.63 gamma=90.00
Atoms (fractional coordinates):
Li 0.089 0.159 0.015
Li 0.089 0.341 0.515
Li 0.307 0.586 0.109
Li 0.307 0.914 0.609
Li 0.693 0.086 0.391
Li 0.693 0.414 0.891
Li 0.911 0.659 0.485
Li 0.911 0.841 0.985
Bi 0.169 0.125 0.523
Bi 0.169 0.375 0.023
Bi 0.831 0.625 0.977
Bi 0.831 0.875 0.477
B 0.197 0.021 0.922
B 0.197 0.479 0.422
B 0.230 0.732 0.014
B 0.230 0.768 0.514
B 0.259 0.521 0.744
B 0.259 0.979 0.244
B 0.311 0.621 0.493
B 0.311 0.879 0.993
B 0.451 0.226 0.022
B 0.451 0.274 0.522
B 0.549 0.726 0.478
B 0.549 0.774 0.978
B 0.689 0.121 0.007
B 0.689 0.379 0.507
B 0.741 0.021 0.756
B 0.741 0.479 0.256
B 0.770 0.232 0.486
B 0.770 0.268 0.986
B 0.803 0.521 0.578
B 0.803 0.979 0.078
O 0.116 0.666 0.040
O 0.116 0.834 0.540
O 0.142 0.085 0.810
O 0.142 0.415 0.310
O 0.170 0.690 0.479
O 0.170 0.810 0.979
O 0.188 0.037 0.112
O 0.188 0.463 0.612
O 0.252 0.554 0.362
O 0.252 0.946 0.862
O 0.266 0.502 0.927
O 0.266 0.998 0.427
O 0.269 0.245 0.033
O 0.269 0.255 0.533
O 0.322 0.594 0.683
O 0.322 0.906 0.183
O 0.421 0.714 0.030
O 0.421 0.786 0.530
O 0.489 0.649 0.437
O 0.489 0.851 0.937
O 0.511 0.149 0.063
O 0.511 0.351 0.563
O 0.579 0.214 0.470
O 0.579 0.286 0.970
O 0.678 0.094 0.817
O 0.678 0.406 0.317
O 0.731 0.745 0.467
O 0.731 0.755 0.967
O 0.734 0.002 0.573
O 0.734 0.498 0.073
O 0.748 0.054 0.138
O 0.748 0.446 0.638
O 0.812 0.537 0.388
O 0.812 0.963 0.888
O 0.830 0.190 0.021
O 0.830 0.310 0.521
O 0.858 0.585 0.690
O 0.858 0.915 0.190
O 0.884 0.166 0.460
O 0.884 0.334 0.960
********

11.20 a.m.


had given Notice of his intention to move, That this House do direct that, in accordance with the Church of England Assembly (Powers) Act 1919, the Prayer Book (Further Provisions) Measure be presented to Her Majesty for the Royal Assent. The right reverend Prelate said: My Lords, I do not intend to move today the Motion standing in my name on the Order Paper. But since it has been on the Order Paper for some days, I think the House is entitled to an explanation of my action, and I beg leave of your Lordships briefly to explain my reasons.

It was hoped that the Prayer Book (Further Provisions) Measure would be presented in another place yesterday and would receive an Affirmative Resolution; and it was my intention to move a similar Resolution in your Lordships' House at this time, in the expectation that the Measure could be presented later to-day for the Royal Assent. Yesterday, however, in another place the Speaker was asked to give his ruling on a submission that a stage in the procedure for Measures laid down in the enabling Act had not been complied with and that the Measure could not yet be submitted for an Affirmative Resolution. The Speaker ruled that this was so, and in consequence did not put the Resolution to the House.

This ruling will cause surprise and concern to those responsible for ecclesiastical legislation, since the procedure to which this Measure has been subjected is no different from that which has been applied to Measures in the past. To my certain knowledge, all Measures in the last 30 years have been dealt with in precisely the same way as this Measure, and my expectation is that all Measures presented since the enabling Act of 1919 have gone through the same procedure. However, since the advantages to be gained from obtaining the Royal Assent to-day are no longer available, I think it necessary not to move the Resolution to-day, but to do so at a later date.


My Lords, I am sure we are grateful to the right reverend Prelate for the explanation of why he is not in a position to move his Motion to-day. I think it is another instance of the fact that if occasionally there are delays and inconsistencies in the dispatch of business through Parliament it is seldom this House that causes them.

== The piece is interrupted by records of crystals ==
~~~
[1]
The following is a DFT calculation (PBE) of a relaxed Zr5Sb3C crystal.

a = 8.447 Å, b = 8.447 Å, c = 5.890 Å
α = 90.00°, β = 90.00°, γ = 120.00°
Element x y z (fractional)
Zr1 0.220 0.000 0.250
Zr2 0.780 0.000 0.750
Zr3 0.000 0.780 0.750
Zr4 0.333 0.667 0.500
Zr5 0.667 0.333 0.000
Zr6 0.333 0.667 0.000
Zr7 0.667 0.333 0.500
Zr8 0.220 0.220 0.750
Zr9 0.000 0.220 0.250
Zr10 0.780 0.780 0.250
Sb1 0.405 0.405 0.250
Sb2 0.595 0.000 0.250
Sb3 0.595 0.595 0.750
Sb4 0.000 0.405 0.750
Sb5 0.405 0.000 0.750
Sb6 0.000 0.595 0.250
C1 0.000 0.000 0.000
C2 0.000 0.000 0.500

ΔE_f = -0.77 eV/atom
Space group = No. 193

[2]
The following is a DFT calculation (PBE) of a relaxed TmCo4B crystal.

a = 4.959 Å, b = 4.959 Å, c = 6.827 Å
α = 90.00°, β = 90.00°, γ = 120.00°
Element x y z (fractional)
Co1 0.500 0.500 0.712
Co2 0.667 0.333 0.000
Co3 0.333 0.667 0.000
Co4 0.000 0.500 0.712
Co5 0.500 0.000 0.288
Co6 0.000 0.500 0.288
Co7 0.500 0.500 0.288
Co8 0.500 0.000 0.712
B1 0.333 0.667 0.500
B2 0.667 0.333 0.500
Tm1 0.000 0.000 0.500
Tm2 0.000 0.000 0.000

ΔE_f = -0.33 eV/atom
Space group = No. 191
Magnetization = 7.348 μB/cell

[3]
The following is a DFT calculation (PBE) of a relaxed Mg6Te5O16 crystal.

a = 10.404 Å, b = 11.221 Å, c = 13.089 Å
α = 90.00°, β = 90.00°, γ = 90.00°
Element x y z (fractional)
Te1 0.750 0.465 0.637
Te2 0.250 0.198 0.817
Te3 0.539 0.991 0.363
Te4 0.250 0.535 0.363
Te5 0.961 0.991 0.363
Te6 0.250 0.035 0.137
Te7 0.039 0.509 0.863
Te8 0.250 0.220 0.507
Te9 0.539 0.491 0.137
Te10 0.750 0.780 0.493
Te11 0.461 0.509 0.863
Te12 0.750 0.280 0.007
Te13 0.039 0.009 0.637
Te14 0.250 0.698 0.683
Te15 0.750 0.302 0.317
Te16 0.750 0.802 0.183
Te17 0.961 0.491 0.137
Te18 0.461 0.009 0.637
Te19 0.250 0.720 0.993
Te20 0.750 0.965 0.863
Mg1 0.425 0.484 0.606
Mg2 0.909 0.750 0.730
Mg3 0.425 0.984 0.894
Mg4 0.931 0.751 0.993
Mg5 0.431 0.749 0.493
Mg6 0.569 0.251 0.507
Mg7 0.591 0.750 0.730
Mg8 0.575 0.516 0.394
Mg9 0.091 0.250 0.270
Mg10 0.409 0.250 0.270
Mg11 0.431 0.249 0.007
Mg12 0.075 0.984 0.894
Mg13 0.591 0.250 0.770
Mg14 0.909 0.250 0.770
Mg15 0.409 0.750 0.230
Mg16 0.069 0.249 0.007
Mg17 0.569 0.751 0.993
Mg18 0.925 0.016 0.106
Mg19 0.925 0.516 0.394
Mg20 0.075 0.484 0.606
Mg21 0.091 0.750 0.230
Mg22 0.575 0.016 0.106
Mg23 0.069 0.749 0.493
Mg24 0.931 0.251 0.507
O1 0.389 0.814 0.945
O2 0.889 0.186 0.055
O3 0.250 0.277 0.369
O4 0.250 0.027 0.833
O5 0.889 0.686 0.445
O6 0.516 0.923 0.757
O7 0.484 0.077 0.243
O8 0.611 0.440 0.542
O9 0.556 0.326 0.350
O10 0.484 0.577 0.257
O11 0.056 0.674 0.650
O12 0.079 0.863 0.356
O13 0.889 0.440 0.542
O14 0.016 0.077 0.243
O15 0.611 0.186 0.055
O16 0.111 0.060 0.042
O17 0.250 0.282 0.946
O18 0.750 0.973 0.167
O19 0.750 0.473 0.333
O20 0.543 0.896 0.549
O21 0.750 0.307 0.683
O22 0.457 0.604 0.049
O23 0.750 0.723 0.631
O24 0.250 0.777 0.131
O25 0.556 0.826 0.150
O26 0.516 0.423 0.743
O27 0.016 0.577 0.257
O28 0.056 0.174 0.850
O29 0.111 0.814 0.945
O30 0.921 0.137 0.644
O31 0.043 0.104 0.451
O32 0.444 0.674 0.650
~~~


My Lords, I hope that the noble Lord, and indeed the right reverend Prelate, are not questioning the propriety of the decision taken in another place. There is a slight implication.


My Lords, no; in no circumstances.